Transporting food
The long haul
From field to supermarket can be a very long way. Beef cattle from the Scottish borders are sometimes killed and butchered in Cornwall, then trucked north to be sold in supermarkets in Newcastle. Kent cauliflowers are driven to a packing plant in the Midlands, then back to Kent to be sold a few miles from where they were picked. And there are dozens of other agricultural products that travel long distances before they reach the shop shelf.
These food miles translate into energy consumption, pollution, greenhouse gas emissions, congestion, road deaths and much else, and they are on the increase. Between 1978 and 1999 the quantity of food shifted around the UK each year rose from 287 to 330 million tonnes, and the average distance travelled rose from 82 kilometres to 125 kilometres.[1] By 2000, food-related transport accounted for a third of all commodity movements in the UK, and resulted in some 4 million tonnes of carbon dioxide emissions.[2]
Among retailers, Safeway has led the way in establishing one of the most efficient distribution systems, introducing a number of measures to reduce its food miles, reduce the energy consumption of its haulage fleet, and divert freight off the roads.
Phil Coombes, transport manager at Safeway's regional distribution centre (RDC) in Welwyn Garden City, follows the progress of the centre's lorries, each of which carries a satellite tracking device, using a system called Logiq. "This gives us a whole range of information," he explains. "It tells us where each lorry is, how much fuel is being used, which routes to take to avoid congestion." All this helps the company to reduce the time its vehicles spend on the road and the amount of fuel they use.
Backhaul to the future
**Attached: records of molecules:**
+++
DFT (wB97M-V/def2-TZVPD) results for 2 unconnected molecules or ions with the total composition C2H2N2O at a distorted geometry.

XYZ file:
```
7
Properties=species:S:1:pos:R:3:mulliken_charge:R:1
C 2.43 -0.37 0.46 0.15
C 1.99 -0.66 -0.78 0.64
N 2.57 0.18 1.51 -0.34
N 0.17 0.33 -0.27 -0.70
O 1.96 -1.06 -1.85 -0.27
H 0.65 1.15 0.19 0.27
H -0.09 -0.26 0.56 0.26
```

Properties
Electronic energy ... -7129.73251 eV
E_LUMO (spin up / spin down) ... -1.661 / -1.661 eV
Energy above the lowest of the compared OMol25 structures with the same formula, charge and spin ... 396.7 kJ/mol
Total charge ... 0
Orbital gap (spin up / spin down) ... 7.75 / 7.75 eV

~~~~~

Here is a structure of composition C24H35BrF6IrN7O3P3S in a non-equilibrium geometry from the OMol25 dataset. Energies are from ωB97M-V/def2-TZVPD.

Values from the calculation:
net charge	+2
F_max	1.43	eV Å⁻¹
spin multiplicity	6
ΔE to the lowest compared entry with this formula, charge and spin	47.0	kJ/mol
LUMO level (alpha / beta)	-5.4 / -8.0	eV
gap between HOMO and LUMO (alpha / beta)	6.57 / 5.47	eV
highest occupied orbital energy (alpha / beta)	-0.43912 / -0.49559	Eh
calculated total energy	-6244.07251	hartree

Cartesian coordinates (Å):
Ir 0.0004 1.3744 1.0011
C -0.7926 -1.7534 -4.7941
N -0.4980 -0.4594 -4.1724
C -0.4609 0.6846 -5.0962
P 0.0872 -0.2756 -2.6726
O -0.0642 1.0355 -2.0525
O -0.4443 -1.5190 -1.8620
P -1.3097 -1.5448 -0.4382
O -0.9252 -0.4269 0.4820
N -2.8851 -1.4332 -0.7819
C -3.6025 -0.1580 -0.7419
C -3.5779 -2.4912 -1.5201
N -0.9848 -3.0441 0.0372
C -1.5932 -3.4974 1.2953
C 0.0198 -3.9685 -0.4942
N 1.7815 -0.6298 -2.8999
C 2.7010 0.4705 -3.0545
C 2.2690 -1.9557 -3.1985
H 0.0026 -2.0429 -5.4848
H -1.7203 -1.6615 -5.3581
H -0.9185 -2.5246 -4.0390
H 0.3271 0.5556 -5.8404
H -0.3031 1.6081 -4.5442
H -1.4197 0.7459 -5.6100
H -3.0823 0.5480 -0.1027
H -4.5993 -0.3254 -0.3347
H -3.7056 0.2650 -1.7452
H -3.0514 -3.4366 -1.4148
H -3.6576 -2.2418 -2.5815
H -4.5834 -2.6054 -1.1169
H -2.4847 -2.9127 1.5215
H -0.8863 -3.4063 2.1207
H -1.8892 -4.5405 1.1860
H 0.4298 -3.6036 -1.4270
H -0.4584 -4.9329 -0.6698
H 0.8352 -4.0946 0.2175
H 2.1768 1.4190 -2.9878
H 3.2407 0.3654 -3.9989
H 3.4322 0.3970 -2.2398
H 1.5062 -2.7039 -3.0133
H 3.1376 -2.1500 -2.5648
H 2.5948 -1.9858 -4.2438
N 2.1955 0.7131 4.4653
C 1.4562 -0.4310 4.7407
C 1.6058 -1.4230 5.7043
C 0.6366 -2.4018 5.7287
C -0.4518 -2.3904 4.8364
C -0.5892 -1.4101 3.8794
C 0.3969 -0.4287 3.8304
N 0.5207 0.6884 3.0186
C 1.5986 1.3344 3.4402
C 1.8672 2.6210 2.8126
C 2.4616 3.7714 3.3067
S 2.1218 5.1335 2.3437
C 1.0986 4.1358 1.2059
N 1.2126 2.7760 1.6679
H 3.0622 0.9824 4.9027
H 2.4299 -1.4255 6.4043
H 0.7040 -3.1916 6.4639
H -1.2010 -3.1663 4.9197
H -1.4300 -1.3767 3.2008
H 3.0353 3.8631 4.2156
H 1.4976 4.2430 0.1936
Br -2.6575 7.2956 -0.8289
C -1.9918 5.6476 -0.1988
C -2.6367 4.4709 -0.6020
C -2.0661 3.2071 -0.2532
C -0.9940 3.1099 0.5588
C -0.4247 4.3554 1.2154
C -0.9021 5.6372 0.6172
H -3.5202 4.5205 -1.2204
H -2.4945 2.3220 -0.7004
+++
Eight hundred lorries deliver over 10 million cases of produce a week to 480 Safeway stores. Of the 42 based at Welwyn Garden City, 17 run on compressed natural gas (CNG). "We've found that gas is ideal for the sort of urban delivery work we do around London," explains Nicola Ellen. Vehicles that run on CNG are quieter than those which use diesel. They also emit lower quantities of hydrocarbons, carbon monoxide and particulate matter. The company plans to introduce more CNG vehicles to other regional distribution centres in the near future.
March 1999 Safeway has operated a six-day a week rail delivery service
from the Mossend rail freight terminal near its Bellshill RDC to Inverness. This serves its stores in the north-east of Scotland. In its first year,
it enabled the company to avoid 1.75 million kilometres of road haul. This may not sound much when set in the overall context of Safeway's
**Calculated molecules that have nothing to do with the piece:**
[1]
{
  "formula": "C6H15NO",
  "method": "ωB97M-V/def2-TZVPD",
  "relative_energy_kj_mol": 348.0,
  "smiles": "CC/C=C/NCC.O",
  "charge": 0,
  "gap_ev": 8.97,
  "symbols": ["H", "H", "H", "H", "H", "H", "C", "N", "H", "O", "H", "H", "C", "C", "C", "H", "H", "H", "C", "H", "H", "H", "C"],
  "xyz": [[-1.377, -0.084, -3.803], [-2.908, 0.252, -1.679], [1.714, -0.103, 2.252], [1.597, 0.864, 3.644], [-2.354, -0.979, 0.775], [-0.883, -1.215, 2.449], [-0.177, 0.895, 2.292], [-0.533, -0.490, 1.843], [5.249, 0.337, -1.867], [4.480, 0.311, -1.281], [-0.573, -1.217, -2.972], [1.945, 1.724, 2.260], [-2.082, -0.389, -1.622], [-1.390, -0.440, 0.667], [-1.520, -0.702, -3.022], [-0.227, 0.574, -0.851], [-0.274, 1.596, 1.486], [-0.677, 1.342, 3.101], [-1.049, -0.014, -0.530], [-2.253, -1.324, -3.647], [4.572, -0.559, -0.719], [-2.675, -1.260, -1.355], [1.396, 0.880, 2.578]],
  "mulliken_charge": [0.45, 0.35, 0.34, 0.31, 0.22, 0.22, -0.43, -0.24, 0.32, -0.65, 0.35, 0.32, -0.39, -0.52, -1.36, 0.44, 0.27, 0.38, -0.22, 0.30, 0.33, 0.33, -1.11]
}



[2]
{
  "formula": "C6H15NO",
  "method": "ωB97M-V/def2-TZVPD",
  "relative_energy_kj_mol": 772.5,
  "charge": 0,
  "gap_ev": 4.59,
  "symbols": ["H", "H", "H", "C", "O", "H", "H", "C", "H", "H", "C", "H", "C", "N", "H", "H", "H", "H", "H", "H", "C", "H", "C"],
  "xyz": [[-1.598, 2.282, 0.504], [-1.105, 1.604, -1.073], [-3.691, -0.408, -0.907], [1.376, -1.426, 0.726], [2.806, 1.561, -0.478], [2.354, -0.082, -0.460], [-2.824, 1.873, -0.728], [-1.870, 1.590, -0.289], [1.348, -1.622, 1.795], [-2.504, -1.702, -0.467], [-2.644, -0.657, -0.749], [3.391, -0.670, 0.796], [2.644, -1.010, 0.084], [-2.027, 0.222, 0.223], [0.809, -2.219, 0.237], [2.773, 2.315, -1.077], [-2.164, -0.573, -1.735], [3.116, -1.733, -0.577], [-1.170, 0.042, 2.021], [1.008, 0.603, 1.134], [-0.923, -0.199, 0.980], [0.529, 0.276, -0.489], [0.367, -0.065, 0.528]],
  "mulliken_charge": [0.32, 0.36, 0.32, -0.35, -0.86, 0.30, 0.34, -0.93, 0.36, 0.34, -0.89, 0.25, -0.95, -0.02, 0.33, 0.17, 0.34, 0.32, 0.40, 0.43, -0.51, 0.45, -0.48]
}



[3]
{
  "formula": "C6H15NO",
  "method": "ωB97M-V/def2-TZVPD",
  "relative_energy_kj_mol": 466.7,
  "charge": 0,
  "gap_ev": 8.13,
  "symbols": ["N", "H", "H", "C", "H", "H", "H", "H", "H", "C", "C", "H", "H", "H", "C", "H", "C", "H", "O", "H", "C", "H", "H"],
  "xyz": [[-0.060, -0.183, -0.794], [1.857, 1.405, 1.818], [1.721, -2.184, -0.312], [0.227, -0.833, 0.446], [0.126, -2.939, -0.163], [-1.061, 1.418, -0.004], [0.157, 3.001, -1.638], [-1.077, 2.107, -2.522], [0.622, 1.606, -2.615], [-0.323, 1.142, -0.743], [0.813, -2.219, 0.293], [-2.322, -1.406, 0.037], [2.091, 1.874, 0.123], [-2.765, -1.220, 1.750], [-1.979, -1.543, 1.068], [0.969, 0.162, 0.882], [-0.150, 1.998, -1.948], [0.563, -0.461, -1.543], [-0.843, -0.729, 1.350], [0.774, 2.551, 1.110], [1.343, 1.649, 0.885], [-1.773, -2.604, 1.240], [1.088, -2.591, 1.280]],
**Here the piece continues:**
operations, but according to Ellen, "It is one per cent of what wasn't
happening a few years ago, and no other retailer has developed a rail
freight strategy like ours."
measure introduced by Safeway to improve the environmental efficiency
ofits distribution service is backhauling. Wherever possible, vehicles
which are returning to the RDCs after delivering produce to the stores
backhaul goods from suppliers, as well as used packaging such as cardboard
and plastic waste, which is then recycled. In 1991/92, the company backhauled
5 million cases. By 2000, it was backhauling 55 million cases a year,
which helped to avoid some 6 million kilometres of road journeys.
Environmentalists have long argued that the local sourcing of food will do much to reduce food miles, and that the retailers' RDC system encourages the long-distance transport of food. Ellen contests this. She argues that if all producers and suppliers were to deliver their wares directly to stores then there would be gridlock on nearby roads. In the mid-1980s, around two-thirds of Safeway's products were delivered direct, and if this system had remained in place, stores nationwide would now be receiving 120,000 separate deliveries - from 120,000 separate vehicles - rather than 10,000 a week, as they are now, nearly all coming direct from the company's network of regional distribution centres.
Safeway's distribution system has much to recommend it, according to Tara Garnett, who coordinates Transport 2000's Wise Moves project, which is examining how retailers could reduce the distance food travels. "There is no doubt that Safeway has been a leader when it comes to distribution," says Garnett, "but it is important to distinguish between distribution and sourcing. Making distribution of food more efficient can yield some gains, but when seen in the context of the global food supply, they are almost negligible."
A complex calculation
In principle, says Garnett, it makes sense to source as much food as possible as close as possible to consumers, but the issue is not as simple as it sounds. Take, for example, tomatoes. In environmental terms one could be forgiven for thinking that it makes more sense for a London store to get its tomatoes from nearby Lea Valley rather than from southern Spain. "But if the Lea Valley tomatoes are produced in a hothouse," says Garnett, "then the amount of energy required to grow and transport the tomatoes may exceed the energy required to grow tomatoes in Spain in sunlight and transport them to the UK."
Likewise, importing French apples might sound more sensible than importing apples from New Zealand, but transporting French apples by road actually requires greater quantities of energy per kilo, and emits more carbon dioxide, than shipping New Zealand apples to Europe by sea. Furthermore, New Zealand apples can be kept in storage for a maximum of three months, compared to six months for French apples, so the latter could potentially guzzle more energy than the former. But isn't it best to eat English apples, rather than either French or New Zealand? Perhaps, but if we also take into account other energy use related to production, such as the manufacture of pesticides applied, we may come to a different conclusion. "What we need to do is take a life cycle approach to food, and look at all aspects of production and distribution," says Garnett.
Wise Moves has recently looked at the scope for reducing carbon dioxide emissions from the distribution of apples, cherries and lettuce. Its research reveals that CO2 emission savings associated with transport can indeed be made through local sourcing and better distribution, although not in all cases. In the examples studied, it was found that sourcing English apples rather than New Zealand apples cuts down on emissions. However, the cases covered by Wise Moves also suggested that sourcing local lettuces actually increases emissions if lettuces come from numerous small producers in the UK, rather than a few large ones abroad. Clearly impacts are likely to depend on the sales and distribution systems in question, as well as the product.
"If there is one big message," suggests Garnett, "it is that air freighting of food is a major problem." Food now accounts for 13 per cent of goods shifted by air freight, which is by far the most polluting from of transport. Shipping a joint of Australian beef by sea is responsible for 343 grams of carbon dioxide emissions, whereas air-freighting a kilo of New Zealand blueberries is responsible for 10,738 grams of carbon dioxide, or thirty times more.
Miles from a solution
Furthermore, consumers need to consider all sorts of trade-offs. Those who believe they are doing the environment a favour by buying organic food, or fish from stocks that are certified as sustainably managed, may actually be promoting food-mile pollution. A survey conducted by Sustain looked at retailer imports of organic food which could have been sourced locally: onions travelled 23,000 kilometres from New Zealand; spring onions 9,000 kilometres from Mexico; green beans 3,500 kilometres from Egypt. All of this means that in terms of energy use and pollution, organic produce can be more damaging than locally-produced conventional produce, although the latter may require more energy, and lead to greater pollution, on the farm itself. When it comes to certified fisheries, some of the largest are the most distant. Sourcing hoki from New Zealand may be great for fish stocks, but the fish have to be flown half way round the globe to UK consumers.
Dramatically reducing the air freighting of food, and creating a more local system of distribution wherever possible, is not all that needs to be done. Getting food from the field to the supermarket racks up serious quantities of food miles, but then so does getting food from the supermarket to the home. Let us say you make a shopping trip of eight kilometres in an average sized car to purchase 30 kilograms of food. The amount of carbon dioxide emitted will be equivalent to the same basket of food travelling 952 kilometres by road in an articulated lorry, or 38 kilometres by plane on a short-haul flight. So consumers, as well as retailers, need to think about their food miles, and the problems they cause.
Charlie Pye-Smith

[1] Jones, A. 2001Eating Oil - Food Supply in a Changing Climate, Sustain and Elm Farm Research Centre, p31.
[2] Ibid.
Posted: 25 Jul 2002